Now return the lines below from the one with "'-x+1/2,-y,z+1/2'" to the one with "0.479" unchanged.
=====
No. 1
# Tb2ScPb3 (GGA-PBE, optimized geometry)
# Crystal system = orthorhombic
data_Tb2ScPb3
_chemical_formula_sum 'Tb8 Sc4 Pb12'
_cell_length_a 16.2034
_cell_length_b 6.3535
_cell_length_c 6.6477
_cell_angle_alpha 90.00
_cell_angle_beta 90.00
_cell_angle_gamma 90.00
_space_group_name_H-M_alt 'C m c m'
_space_group_IT_number 63
_space_group_name_Hall '-C 2c 2'
loop_
_atom_site_label
_atom_site_fract_x
_atom_site_fract_y
_atom_site_fract_z
Tb1 0.1638 0.2164 0.2500
Sc1 0.0000 0.5000 0.0000
Pb1 0.0000 0.0000 0.0000
Pb2 0.1425 0.2911 0.7500

No. 2
# Tb3ScPb2 (GGA-PBE, optimized geometry)
# Crystal system = tetragonal
data_Tb3ScPb2
_chemical_formula_sum 'Tb3 Sc1 Pb2'
_cell_length_a 4.5214
_cell_length_b 4.5214
_cell_length_c 8.4768
_cell_angle_alpha 90.00
_cell_angle_beta 90.00
_cell_angle_gamma 90.00
_space_group_name_H-M_alt 'P -4 m 2'
_space_group_IT_number 115
loop_
_space_group_symop_operation_xyz
'x,y,z'
'y,-x,-z'
'-x,-y,z'
'-y,x,-z'
'-x,y,z'
'-y,-x,-z'
'x,-y,z'
'y,x,-z'
loop_
_atom_site_label
_atom_site_fract_x
_atom_site_fract_y
_atom_site_fract_z
Tb1 0.0000 0.0000 0.0000
Tb2 0.0000 0.5000 0.6586
Sc1 0.5000 0.5000 0.0000
Pb1 0.0000 0.5000 0.2778

No. 3
# TbSc3Pb (GGA-PBE, optimized geometry)
# Crystal system = orthorhombic
data_TbSc3Pb
_chemical_formula_sum 'Tb4 Sc12 Pb4'
_cell_length_a 6.6081
_cell_length_b 9.6432
_cell_length_c 8.5790
_cell_angle_alpha 90.00
_cell_angle_beta 90.00
_cell_angle_gamma 90.00
_space_group_name_H-M_alt 'P n m a'
_space_group_IT_number 62
loop_
_space_group_symop_operation_xyz
'x,y,z'
'-x,-y,-z'
'-x+1/2,-y,z+1/2'
'x+1/2,y,-z+1/2'
'x+1/2,-y+1/2,-z+1/2'
'-x+1/2,y+1/2,z+1/2'
'-x,y+1/2,-z'
'x,-y+1/2,z'
loop_
_atom_site_label
_atom_site_fract_x
_atom_site_fract_y
_atom_site_fract_z
Tb1 0.2057 0.2500 0.1403
Sc1 0.1034 0.0390 0.8366
Sc2 0.2379 0.7500 0.0391
Pb1 0.0000 0.0000 0.5000

No. 4
# Tb3Sc4Pb4 (GGA-PBE, optimized geometry)
# Crystal system = orthorhombic
data_Tb3Sc4Pb4
_chemical_formula_sum 'Tb6 Sc8 Pb8'
_cell_length_a 4.2424
_cell_length_b 9.0133
_cell_length_c 15.9444
_cell_angle_alpha 90.00
_cell_angle_beta 90.00
_cell_angle_gamma 90.00
_space_group_name_H-M_alt 'I m m m'
_space_group_IT_number 71
_space_group_name_Hall '-I 2 2'
loop_
_atom_site_label
_atom_site_fract_x
_atom_site_fract_y
_atom_site_fract_z
Tb1 0.0000 0.0000 0.0000
Tb2 0.0000 0.5000 0.1143
Sc1 0.0000 0.3008 0.3250
Pb1 0.0000 0.0000 0.2343
Pb2 0.0000 0.2113 0.5000

How do the records compare in calculated volume? In the order shown, they have 28.5; 28.9; 27.3; 27.7 Å³/atom.
How do the records compare in energy of formation? In the order shown, they have -0.394; -0.432; -0.090; -0.373 eV/atom.

----------

# Sm3NbO7 PBE relaxed
# energy above the lowest structure with this stoichiometry	0.00	eV per formula unit
# crystal system	orthorhombic
# VASP energy	-8.603	eV per atom
# energy relative to the elements, uncorrected	-3.25	eV per atom
data_Sm3NbO7
_chemical_formula_sum 'Sm12 Nb4 O28'
_space_group_name_H-M_alt 'C 2 2 21'
_space_group_IT_number 20
_cell_length_a 7.765
_cell_length_b 10.793
_cell_length_c 7.633
_cell_angle_alpha 90.00
_cell_angle_beta 90.00
_cell_angle_gamma 90.00
loop_
_space_group_symop_operation_xyz
'x,y,z'
'-x,-y,z+1/2'
'x,-y,-z'
'-x,y,-z+1/2'
'x+1/2,y+1/2,z'
'-x+1/2,-y+1/2,z+1/2'
'x+1/2,-y+1/2,-z'
'-x+1/2,y+1/2,-z+1/2'
loop_
_atom_site_label
_atom_site_fract_x
_atom_site_fract_y
_atom_site_fract_z
_atom_site_occupancy
Sm1 0.040 0.000 0.000 1
Sm2 0.232 0.269 0.761 1
Nb1 0.002 0.500 0.000 1
O1 0.000 0.129 0.250 1
O2 0.000 0.139 0.750 1
O3 0.000 0.434 0.750 1
O4 0.173 0.372 0.046 1
O5 0.205 0.378 0.479 1

---

# Sm5Nb2O12 PBE relaxed
# crystal system	monoclinic
# VASP energy	-8.636	eV per atom
# energy relative to the elements, uncorrected	-3.20	eV per atom
data_Sm5Nb2O12
_chemical_formula_sum 'Sm10 Nb4 O24'
_space_group_name_H-M_alt 'C 1 2/m 1'
_space_group_IT_number 12
_cell_length_a 12.699
_cell_length_b 6.009
_cell_length_c 7.635
_cell_angle_alpha 90.00
_cell_angle_beta 107.51
_cell_angle_gamma 90.00
=====
'-x+1/2,-y,z+1/2'
'x+1/2,y,-z+1/2'
'x+1/2,-y+1/2,-z+1/2'
'-x+1/2,y+1/2,z+1/2'
'-x,y+1/2,-z'
'x,-y+1/2,z'
loop_
_atom_site_label
_atom_site_fract_x
_atom_site_fract_y
_atom_site_fract_z
Tb1 0.2057 0.2500 0.1403
Sc1 0.1034 0.0390 0.8366
Sc2 0.2379 0.7500 0.0391
Pb1 0.0000 0.0000 0.5000

No. 4
# Tb3Sc4Pb4 (GGA-PBE, optimized geometry)
# Crystal system = orthorhombic
data_Tb3Sc4Pb4
_chemical_formula_sum 'Tb6 Sc8 Pb8'
_cell_length_a 4.2424
_cell_length_b 9.0133
_cell_length_c 15.9444
_cell_angle_alpha 90.00
_cell_angle_beta 90.00
_cell_angle_gamma 90.00
_space_group_name_H-M_alt 'I m m m'
_space_group_IT_number 71
_space_group_name_Hall '-I 2 2'
loop_
_atom_site_label
_atom_site_fract_x
_atom_site_fract_y
_atom_site_fract_z
Tb1 0.0000 0.0000 0.0000
Tb2 0.0000 0.5000 0.1143
Sc1 0.0000 0.3008 0.3250
Pb1 0.0000 0.0000 0.2343
Pb2 0.0000 0.2113 0.5000

How do the records compare in calculated volume? In the order shown, they have 28.5; 28.9; 27.3; 27.7 Å³/atom.
How do the records compare in energy of formation? In the order shown, they have -0.394; -0.432; -0.090; -0.373 eV/atom.

----------

# Sm3NbO7 PBE relaxed
# energy above the lowest structure with this stoichiometry	0.00	eV per formula unit
# crystal system	orthorhombic
# VASP energy	-8.603	eV per atom
# energy relative to the elements, uncorrected	-3.25	eV per atom
data_Sm3NbO7
_chemical_formula_sum 'Sm12 Nb4 O28'
_space_group_name_H-M_alt 'C 2 2 21'
_space_group_IT_number 20
_cell_length_a 7.765
_cell_length_b 10.793
_cell_length_c 7.633
_cell_angle_alpha 90.00
_cell_angle_beta 90.00
_cell_angle_gamma 90.00
loop_
_space_group_symop_operation_xyz
'x,y,z'
'-x,-y,z+1/2'
'x,-y,-z'
'-x,y,-z+1/2'
'x+1/2,y+1/2,z'
'-x+1/2,-y+1/2,z+1/2'
'x+1/2,-y+1/2,-z'
'-x+1/2,y+1/2,-z+1/2'
loop_
_atom_site_label
_atom_site_fract_x
_atom_site_fract_y
_atom_site_fract_z
_atom_site_occupancy
Sm1 0.040 0.000 0.000 1
Sm2 0.232 0.269 0.761 1
Nb1 0.002 0.500 0.000 1
O1 0.000 0.129 0.250 1
O2 0.000 0.139 0.750 1
O3 0.000 0.434 0.750 1
O4 0.173 0.372 0.046 1
O5 0.205 0.378 0.479 1